Source
-- begin --
1.
ScBe | PBE | optimized geometry

The structure in CIF format:
```
data_ScBe
_cell_length_a 4.6252
_cell_length_b 4.6252
_cell_length_c 7.0126
_cell_angle_alpha 90.00
_cell_angle_beta 90.00
_cell_angle_gamma 120.00
_symmetry_space_group_name_H-M 'P 63/m m c'
_symmetry_Int_Tables_number 194
_symmetry_space_group_name_Hall '-P 6c 2c'
loop_
_atom_site_label
_atom_site_type_symbol
_atom_site_fract_x
_atom_site_fract_y
_atom_site_fract_z
_atom_site_occupancy
Sc1 Sc 0.0000 0.0000 0.2500 1
Sc2 Sc 0.3333 0.6667 0.2500 1
Be1 Be 0.3333 0.6667 0.6077 1
```

Output
The calculation puts the energy of formation at 0.413 eV/atom. The calculation puts the total magnetization at 0.00 μB/f.u. As for the crystal system: hexagonal. The value obtained for the total energy is -0.170 hartree per atom.

2.
MgReTe2Rh | PBE | optimized geometry

The structure in CIF format:
```
data_MgReTe2Rh
_cell_length_a 5.1251
_cell_length_b 5.1251
_cell_length_c 4.8315
_cell_angle_alpha 90.00
_cell_angle_beta 90.00
_cell_angle_gamma 90.00
_symmetry_space_group_name_H-M 'P 4/m m m'
_symmetry_Int_Tables_number 123
_symmetry_space_group_name_Hall '-P 4 2'
loop_
_atom_site_label
_atom_site_type_symbol
_atom_site_fract_x
_atom_site_fract_y
_atom_site_fract_z
_atom_site_occupancy
Mg1 Mg 0.0000 0.0000 0.0000 1
Re1 Re 0.0000 0.0000 0.5000 1
Te1 Te 0.0000 0.5000 0.0000 1
Rh1 Rh 0.5000 0.5000 0.5000 1
```

Output
The formation energy (no corrections) is 1.7237 eV per atom. The calculation puts the total magnetization at 2.79 μB/f.u. As for the crystal system: tetragonal. The value obtained for the total energy is -0.140 hartree per atom.

3.
ZnCrOs | PBE | optimized geometry

The structure in CIF format:
```
data_ZnCrOs
_cell_length_a 2.6963
_cell_length_b 2.6963
_cell_length_c 6.4984
_cell_angle_alpha 90.00
_cell_angle_beta 90.00
_cell_angle_gamma 120.00
_symmetry_space_group_name_H-M 'P 3 m 1'
_symmetry_Int_Tables_number 156
_symmetry_space_group_name_Hall 'P 3 -2"'
loop_
_atom_site_label
_atom_site_type_symbol
_atom_site_fract_x
_atom_site_fract_y
_atom_site_fract_z
_atom_site_occupancy
Zn1 Zn 0.0000 0.0000 0.0000 1
Cr1 Cr 0.6667 0.3333 0.3374 1
Os1 Os 0.3333 0.6667 0.6418 1
```

Output
The calculation puts the energy of formation at 0.129 eV/atom. The calculation puts the total magnetization at 0.00 μB/f.u. As for the crystal system: trigonal. The value obtained for the total energy is -0.266 hartree per atom.

4.
NaOsRhPb2 | PBE | optimized geometry

The structure in CIF format:
```
data_NaOsRhPb2
_cell_length_a 5.1793
_cell_length_b 5.1793
_cell_length_c 4.5472
_cell_angle_alpha 90.00
_cell_angle_beta 90.00
_cell_angle_gamma 90.00
_symmetry_space_group_name_H-M 'P 4/m m m'
_symmetry_Int_Tables_number 123
_symmetry_space_group_name_Hall '-P 4 2'
loop_
_atom_site_label
_atom_site_type_symbol
_atom_site_fract_x
_atom_site_fract_y
_atom_site_fract_z
_atom_site_occupancy
Na1 Na 0.0000 0.0000 0.0000 1
Os1 Os 0.5000 0.5000 0.5000 1
Rh1 Rh 0.0000 0.0000 0.5000 1
Pb1 Pb 0.0000 0.5000 0.0000 1
```

Output
The calculation puts the energy of formation at 1.823 eV/atom. The calculation puts the total magnetization at 2.42 μB/f.u. As for the crystal system: tetragonal. The value obtained for the total energy is -0.134 hartree per atom.

5.
YFeBr4 | PBE | optimized geometry

The structure in CIF format:
```
data_YFeBr4
_cell_length_a 8.7662
_cell_length_b 8.7662
_cell_length_c 8.7662
_cell_angle_alpha 90.00
_cell_angle_beta 90.00
_cell_angle_gamma 90.00
_symmetry_space_group_name_H-M 'F -4 3 m'
_symmetry_Int_Tables_number 216
_symmetry_space_group_name_Hall 'F -4 2 3'
loop_
_atom_site_label
_atom_site_type_symbol
_atom_site_fract_x
_atom_site_fract_y
_atom_site_fract_z
_atom_site_occupancy
Y1 Y 0.0000 0.0000 0.0000 1
Fe1 Fe 0.2500 0.2500 0.2500 1
Br1 Br 0.1249 0.1249 0.6249 1
-- stop --

Work order
Repeat everything earlier on without additions, please.

Completed
1.
ScBe | PBE | optimized geometry

The structure in CIF format:
```
data_ScBe
_cell_length_a 4.6252
_cell_length_b 4.6252
_cell_length_c 7.0126
_cell_angle_alpha 90.00
_cell_angle_beta 90.00
_cell_angle_gamma 120.00
_symmetry_space_group_name_H-M 'P 63/m m c'
_symmetry_Int_Tables_number 194
_symmetry_space_group_name_Hall '-P 6c 2c'
loop_
_atom_site_label
_atom_site_type_symbol
_atom_site_fract_x
_atom_site_fract_y
_atom_site_fract_z
_atom_site_occupancy
Sc1 Sc 0.0000 0.0000 0.2500 1
Sc2 Sc 0.3333 0.6667 0.2500 1
Be1 Be 0.3333 0.6667 0.6077 1
```

Output
The calculation puts the energy of formation at 0.413 eV/atom. The calculation puts the total magnetization at 0.00 μB/f.u. As for the crystal system: hexagonal. The value obtained for the total energy is -0.170 hartree per atom.

2.
MgReTe2Rh | PBE | optimized geometry

The structure in CIF format:
```
data_MgReTe2Rh
_cell_length_a 5.1251
_cell_length_b 5.1251
_cell_length_c 4.8315
_cell_angle_alpha 90.00
_cell_angle_beta 90.00
_cell_angle_gamma 90.00
_symmetry_space_group_name_H-M 'P 4/m m m'
_symmetry_Int_Tables_number 123
_symmetry_space_group_name_Hall '-P 4 2'
loop_
_atom_site_label
_atom_site_type_symbol
_atom_site_fract_x
_atom_site_fract_y
_atom_site_fract_z
_atom_site_occupancy
Mg1 Mg 0.0000 0.0000 0.0000 1
Re1 Re 0.0000 0.0000 0.5000 1
Te1 Te 0.0000 0.5000 0.0000 1
Rh1 Rh 0.5000 0.5000 0.5000 1
```

Output
The formation energy (no corrections) is 1.7237 eV per atom. The calculation puts the total magnetization at 2.79 μB/f.u. As for the crystal system: tetragonal. The value obtained for the total energy is -0.140 hartree per atom.

3.
ZnCrOs | PBE | optimized geometry

The structure in CIF format:
```
data_ZnCrOs
_cell_length_a 2.6963
_cell_length_b 2.6963
_cell_length_c 6.4984
_cell_angle_alpha 90.00
_cell_angle_beta 90.00
_cell_angle_gamma 120.00
_symmetry_space_group_name_H-M 'P 3 m 1'
_symmetry_Int_Tables_number 156
_symmetry_space_group_name_Hall 'P 3 -2"'
loop_
_atom_site_label
_atom_site_type_symbol
_atom_site_fract_x
_atom_site_fract_y
_atom_site_fract_z
_atom_site_occupancy
Zn1 Zn 0.0000 0.0000 0.0000 1
Cr1 Cr 0.6667 0.3333 0.3374 1
Os1 Os 0.3333 0.6667 0.6418 1
```

Output
The calculation puts the energy of formation at 0.129 eV/atom. The calculation puts the total magnetization at 0.00 μB/f.u. As for the crystal system: trigonal. The value obtained for the total energy is -0.266 hartree per atom.

4.
NaOsRhPb2 | PBE | optimized geometry

The structure in CIF format:
```
data_NaOsRhPb2
_cell_length_a 5.1793
_cell_length_b 5.1793
_cell_length_c 4.5472
_cell_angle_alpha 90.00
_cell_angle_beta 90.00
_cell_angle_gamma 90.00
_symmetry_space_group_name_H-M 'P 4/m m m'
_symmetry_Int_Tables_number 123
_symmetry_space_group_name_Hall '-P 4 2'
loop_
_atom_site_label
_atom_site_type_symbol
_atom_site_fract_x
_atom_site_fract_y
_atom_site_fract_z
_atom_site_occupancy
Na1 Na 0.0000 0.0000 0.0000 1
Os1 Os 0.5000 0.5000 0.5000 1
Rh1 Rh 0.0000 0.0000 0.5000 1
Pb1 Pb 0.0000 0.5000 0.0000 1
```

Output
The calculation puts the energy of formation at 1.823 eV/atom. The calculation puts the total magnetization at 2.42 μB/f.u. As for the crystal system: tetragonal. The value obtained for the total energy is -0.134 hartree per atom.

5.
YFeBr4 | PBE | optimized geometry

The structure in CIF format:
```
data_YFeBr4
_cell_length_a 8.7662
_cell_length_b 8.7662
_cell_length_c 8.7662
_cell_angle_alpha 90.00
_cell_angle_beta 90.00
_cell_angle_gamma 90.00
_symmetry_space_group_name_H-M 'F -4 3 m'
_symmetry_Int_Tables_number 216
_symmetry_space_group_name_Hall 'F -4 2 3'
loop_
_atom_site_label
_atom_site_type_symbol
_atom_site_fract_x
_atom_site_fract_y
_atom_site_fract_z
_atom_site_occupancy
Y1 Y 0.0000 0.0000 0.0000 1
Fe1 Fe 0.2500 0.2500 0.2500 1
Br1 Br 0.1249 0.1249 0.6249 1